(505) 489-1122 starcasterjj@gmail.com

Taurus Astrological Forecast for March 2020

 TAURUS (4/20-5/20): Your ruling planet is Venus. Venus rules your Sign, but not you, directly. Venus is stubborn, but not demeaning. It helps you to find peace and harmony when you listen to that need. Currently, Venus is ending a month-long stay in your Solar 12th house of Aries. On the 4th, She moves into Taurus. Suddenly, the Sun seems to shine on your life, again. The last 30 days have been a time of withdrawal and isolation. It has been a time to benefit from self-questioning. It has been a time to really examine your perspective on life, and to make personal changes to help you feel more accepted by others. You are invigorated the first 8 days as you are pulled from the mud after a mishap on the 3rd. You may even regain some lost friends to fire you up on the 8th. The wrong-minded friends will leave this month, but you will attract the good ones to take their place. You will be moving toward an ideal, which can be realized by the 22nd. Those who stand with you, will follow your successes with great achievements of their own. March will most likely see you becoming as happy as a lamb in clover as the month draws to a close. The 28th has an incredible piece of good fortune that will transform your outlook. New pastures with no fences find the Bulls grazing happily after a long cold winter.


Call John: (505) 489-1122


Have John Call You

Taurus Astrological Forecast for February 2020

 TAURUS (4/20-5/20): Life is coming back into focus this month after a recent trip to a fantasy land. Under the right conditions, that place can be found in your own neighborhood. The recent experience of this nature was most likely a thing of perfection, but don’t cross into the negative side of that experience. This can be a real test of character on the 9th, or sooner. The best part of your trip to la la land, comes from the ability to combine these images with reality the way someone else has, but better. So, there are happenings of a deep nature before the 9th arrives. On the 2nd, while the fog is still clearing, you feel the depth of love you have, or could have, with a partner. This is from breaking up a log jam in the creative part of your brain. The 3rd is great for planning and building. The construction can be on a relationship that might need repairs. Hopefully, this can be easier than that. Your tendency may be to isolate after the 7th. There is serious thinking to be done. Stay close to home because long journeys can be an impulse that leads to big problems, near the 23rd. Some very dark issues within your subconscious, on the 28th, are so powerful as to affect your physical world as losses. Next month looks better.


Call John: (505) 489-1122


Have John Call You

Taurus Astrological Forecast for January 2020

 TAURUS (4/20-5/20): The self-protective instinct and natural caution of the Bull will have you keeping your head down as we all get shaken up by this month’s events. The Earth has to be the Sign of Taurus. What other Sign could it be? It’s even said, in religious circles, to be ruled by a creature with horns. Taureans are very much in touch with the Earth. Even their walk seems to plant each foot securely to the ground. So, if the stellar events bring physical changes around you, it will lead to a wise and philosophical Bovine. When others lose their “reference point”, you will be the rock to mark their path. You are always the one to know what will work on the physical plane. The 15th brings someone to help you with a problem. This can be the start of a beautiful friendship. There are many pieces to a puzzle this month. You will figure it out. With 7 planets plus the Sun piled into a small part of the sky’s arc, there is a terrible imbalance to our worlds. Then we mix in an Eclipse of the Moon on the 10th, plus Saturn aligning with Pluto, on the 12th. Lots of physical problems, there, so standby Bull Sign people. Keep a shovel in your vehicle. Some newer buildings are dangerous because of a lax building code of the last few years. Earthquakes are meant to wake us up to what we are doing to the Earth, which as a living entity spews forth it’s anger in the form of lava. Pet the Earth. She’s been a good girl.


Call John: (505) 489-1122


Have John Call You

Taurus Astrological Forecast for September 2019

=====
A plane-wave DFT calculation with PBE was carried out for a relaxed NdSm2Dy6 crystal.

## Properties
ΔE to the lowest computed polymorph = 0 meV per atom
DFT formation energy = 0.019 eV/atom
crystal system = triclinic
total magnetization = 0.00 μB/cell

POSCAR file:
```
NdSm2Dy6
1.0
4.810 0.003 1.545
2.185 7.551 1.473
0.099 -0.728 7.973
Sm Dy Nd
2 6 1
Cartesian
4.317 3.657 3.090
2.776 3.169 7.901
3.621 0.876 5.260
5.108 5.706 8.906
6.647 6.193 4.100
3.473 5.950 5.731
1.985 1.120 2.085
0.446 0.633 6.891
1.142 3.412 4.723
```


Compound: Pr6InPd
Source: Alexandria via LeMat-Bulk
Functional: PBE
Structure: optimized geometry

Calculated values
ΔH_f (0 K): -0.232 eV/atom
Electronic total energy: -4.8076 eV per atom
Crystal system: monoclinic
M_tot: 0.00 μB/atom

```
Pr6InPd
1.0
3.506 -5.373 0.000
3.506 5.373 0.000
-1.302 0.000 6.563
Pr In Pd
6 1 1
direct
0.083 0.656 0.732
0.259 0.259 0.914
0.344 0.917 0.268
0.656 0.083 0.732
0.741 0.741 0.086
0.917 0.344 0.268
0.500 0.500 0.500
0.000 0.000 0.500
```

Compound: Pr2InPd
Source: Alexandria via LeMat-Bulk
Functional: PBE
Structure: optimized geometry

Calculated values
ΔH_f (0 K): -0.157 eV/atom
Electronic total energy: -4.5293 eV per atom
Polymorph energy (0 for the lowest one): 437 meV per atom
Crystal system: trigonal
M_tot: 0.00 μB/atom

```
Pr2InPd
1.0
1.972 1.138 10.247
-1.972 1.138 10.247
0.000 -2.277 10.247
Pr In Pd
2 1 1
direct
0.108 0.108 0.108
0.892 0.892 0.892
0.000 0.000 0.000
0.500 0.500 0.500
```

Compound: Pr5In2Pd
Source: Alexandria via LeMat-Bulk
Functional: PBE
Structure: optimized geometry

Calculated values
ΔH_f (0 K): -0.324 eV/atom
Electronic total energy: -4.6446 eV per atom
Crystal system: tetragonal
M_tot: 0.00 μB/atom

```
Pr5In2Pd
1.0
-3.602 3.602 4.551
3.602 -3.602 4.551
3.602 3.602 -4.551
Pr In Pd
5 2 1
direct
0.000 0.000 0.000
0.489 0.489 0.505
0.489 0.984 0.000
0.984 0.489 0.000
0.984 0.984 0.495
0.486 0.986 0.500
0.986 0.486 0.500
0.426 0.426 0.000
```

Compound: Pr2In2Pd15
Source: Alexandria via LeMat-Bulk
Functional: PBE
Structure: optimized geometry

Calculated values
ΔH_f (0 K): -0.416 eV/atom
Electronic total energy: -5.3065 eV per atom
Crystal system: trigonal
M_tot: 0.00 μB/atom

```
Pr2In2Pd15
1.0
4.615 2.664 4.656
-4.615 2.664 4.656
0.000 -5.329 4.656
Pr In Pd
2 2 15
direct
0.149 0.149 0.149
0.851 0.851 0.851
0.397 0.397 0.397
0.603 0.603 0.603
0.000 0.500 0.500
0.150 0.150 0.656
0.150 0.656 0.150
0.196 0.500 0.804
0.196 0.804 0.500
0.344 0.850 0.850
0.500 0.000 0.500
0.500 0.196 0.804
0.500 0.500 0.000
0.500 0.804 0.196
0.656 0.150 0.150
0.804 0.196 0.500
0.804 0.500 0.196
0.850 0.344 0.850
0.850 0.850 0.344
```

Compound: Pr8In2Pd
Source: Alexandria via LeMat-Bulk
Functional: PBE
Structure: optimized geometry

Calculated values
ΔH_f (0 K): -0.294 eV/atom
Electronic total energy: -4.7401 eV per atom
Polymorph energy (0 for the lowest one): 0 meV per atom
Crystal system: monoclinic
M_tot: 0.00 μB/atom

```
Pr8In2Pd
1.0
9.747 -2.640 0.000
9.747 2.640 0.000
=====
• The entry goes on:


TAURUS (4/20-5/20): There are fun-filled opportunities all around you to start the month, but there seems to be a lot of work with problems to overcome. The 1st should be a gleeful day, but even with the laughter, it may feel odd in some way. Maybe, part of you knows there could be difficulties waiting close at hand. The 1st is not a day to accomplish a great deal. It’s a good day to think about how your father has affected your outlook on life. That can be good or bad, but mainly it helps to realize his impact on your life. The 2nd can be too much of a good thing. Spend wisely and sparingly, that day. There is some confusion caused by a friend on the 4th. It’s a mess you will want to avoid. All Taureans need a good fantasy, occasionally. The 6th could be one of those times as you tend to dream of far-away places. Finally, the 13th brings you back to situations at hand. During the Full Moon that day, you will want to have a good sense of reason. During the next day, Venus rolls into Libra, which is your House of Health. Any medical issues will begin to clear up over the next 30 days. The 2nd half of September is much smoother. Passion begins to build to an explosive point by the 28th. You may also notice that there are matters from the past, which require your attention. This will have been a month of great creativity with a touch of romance. Less work may get done, but now you begin to roll up the sleeves and put-on the work gloves. October will be smoother and less stress in your work.


Call John: (505) 489-1122

[Here the article breaks off for data records]
No. 1
A plane-wave DFT calculation with GGA-PBE was carried out for a relaxed FeCoIrBr2 crystal.

Results
Formation energy (no corrections) ... 1.3147 eV/atom
Volume ... 121.0 Å³ per cell

```
data_FeCoIrBr2
_chemical_formula_sum 'Fe1 Co1 Ir1 Br2'
_cell_length_a 5.0368
_cell_length_b 5.0368
_cell_length_c 4.7687
_cell_angle_alpha 90.00
_cell_angle_beta 90.00
_cell_angle_gamma 90.00
_symmetry_space_group_name_H-M 'P 4/m m m'
_symmetry_Int_Tables_number 123
_symmetry_space_group_name_Hall '-P 4 2'
loop_
_atom_site_label
_atom_site_fract_x
_atom_site_fract_y
_atom_site_fract_z
_atom_site_occupancy
Fe1 0.0000 0.0000 0.0000 1
Co1 0.5000 0.5000 0.0000 1
Ir1 0.0000 0.0000 0.5000 1
Br1 0.0000 0.5000 0.5000 1
```

---

No. 2
A plane-wave DFT calculation with GGA-PBE was carried out for a relaxed KFeCoBr6 crystal.

Results
Formation energy (no corrections) ... -0.5860 eV/atom
Volume ... 274.2 Å³ per cell

```
data_KFeCoBr6
_chemical_formula_sum 'K1 Fe1 Co1 Br6'
_cell_length_a 6.5876
_cell_length_b 6.5876
_cell_length_c 7.2970
_cell_angle_alpha 90.00
_cell_angle_beta 90.00
_cell_angle_gamma 120.00
_symmetry_space_group_name_H-M 'P 3 1 2'
_symmetry_Int_Tables_number 149
loop_
_symmetry_equiv_pos_as_xyz
'x,y,z'
'-y,x-y,z'
'-x+y,-x,z'
'-y,-x,-z'
'-x+y,y,-z'
'x,x-y,-z'
loop_
_atom_site_label
_atom_site_fract_x


Have John Call You

Taurus Astrological Forecast for August 2019


TAURUS (4/20-5/20): A situation at work can be so irritating until you tackle it head on, as the month gets underway. This is a 2 day battle just to get your blood boiling. After such a horrible work experience, you may want to seek shelter at home until the 23rd. There is a purpose to being at home this first 3 weeks of the month. It’s not even dreadful to be there. The 8th-11th are 4 golden days of happiness. Good fortune and joy rains down. However, in a general forecast like this, there will always be about 10% of Bulls who have personal charts in contradiction to the usual chart of a Taurean, for example. In those cases a private reading may be called for. For others, there may be more alignment to the cosmic messages of the stars. With Uranus as your new house guest for the next 7 years, you will have to deal with the radical changes in both your inner and outer worlds. Uranus in Taurus is bound to have some good points as well. For one, you will be able to handle the radical changes. Uranus will also bring knowledge to use with all the different tasks before you. Friends may not be so predictable, but they will show up when needed most, over the next 7 years. As for this month, the 13th finds you in favor with any superiors at work. Celebrities cross your path like deer at full speed. What does it all mean?  Probably, not much…mostly fun. Having escaped from the house, there is a flurry of work on the 24th, 25th, and 26th. It goes well. You will be the smoother of the rough spots. The 30th could bring a new romance. Your work is going well as the month ends. You find creativity there.


Call John: (505) 489-1122


Have John Call You

Taurus Astrological Forecast for June 2019

 TAURUS (4/20-5/20): The refined nature of a Taurean is one side of your character. The other side can have you down in the mud to do what has to be done. It’s admirable to watch how your Sign interacts with the material world. You touch and handle your possessions in such a perfect way. You are tuned in to the physicality of the Earth. In the grand scheme of evolution, Taurus is the next stage after the Big Bang, the solidification of solid matter from fire and energy. You blend well with the Earth. Venus will move into Gemini on the 8th. This can activate your earning potential. This is a good time to add a second source of income as your need for security is a good motivator for you. There is a bad investment possibility near the 23rd. Deception could be at hand. Once that day clears, money matters resume to normalcy. You have a need to be more involved with your career goals, or becoming who you want to be seen as. You always want to present a good image. That will be your demeanor for the summer. It can bring good results. There is a chance to take short trips by the water, this summer. This will be a calming necessity.


Call John: (505) 489-1122

Data records that have nothing to do with the entry
┌──
A plane-wave DFT calculation with SCAN was carried out for ZrPt2Rh at its PBEsol-relaxed geometry.

```
data_ZrPt2Rh
_chemical_formula_sum 'Zr1 Pt2 Rh1'
_space_group_name_H-M_alt 'P m m 2'
_space_group_IT_number 25
_cell_length_a 2.9400
_cell_length_b 3.8281
_cell_length_c 5.6257
_cell_angle_alpha 90.00
_cell_angle_beta 90.00
_cell_angle_gamma 90.00
loop_
_space_group_symop_operation_xyz
'x,y,z'
'-x,-y,z'
'-x,y,z'
'x,-y,z'
loop_
_atom_site_label
_atom_site_fract_x
_atom_site_fract_y
_atom_site_fract_z
_atom_site_occupancy
Zr1 0.0000 0.0000 0.0000 1
Pt1 0.0000 0.0000 0.5104 1
Pt2 0.5000 0.5000 0.2634 1
Rh1 0.5000 0.5000 0.7494 1
```

Output
ρ	15.32	g cm⁻³
calculated formation energy	-0.745	eV per atom


A plane-wave DFT calculation with SCAN was carried out for K2CaTa at its PBEsol-relaxed geometry.

```
data_K2CaTa
_chemical_formula_sum 'K6 Ca3 Ta3'
_space_group_name_H-M_alt 'R -3 m'
_space_group_IT_number 166
_space_group_name_Hall '-R 3 2"'
_cell_length_a 3.2840
_cell_length_b 3.2840
_cell_length_c 41.2028
_cell_angle_alpha 90.00
_cell_angle_beta 90.00
_cell_angle_gamma 120.00
loop_
_atom_site_label
_atom_site_fract_x
_atom_site_fract_y
_atom_site_fract_z
_atom_site_occupancy
K1 0.0000 0.0000 0.2418 1
Ca1 0.0000 0.0000 0.0000 1
Ta1 0.0000 0.0000 0.5000 1
```

Output
ρ	3.87	g cm⁻³
calculated formation energy	1.169	eV per atom


A plane-wave DFT calculation with SCAN was carried out for BeRuCl2 at its PBEsol-relaxed geometry.

```
data_BeRuCl2
_chemical_formula_sum 'Be1 Ru1 Cl2'
_space_group_name_H-M_alt 'P 4 m m'
_space_group_IT_number 99
_cell_length_a 2.9913
_cell_length_b 2.9913
_cell_length_c 6.9716
_cell_angle_alpha 90.00
_cell_angle_beta 90.00
_cell_angle_gamma 90.00
loop_
_space_group_symop_operation_xyz
'x,y,z'
'-y,x,z'
'-x,-y,z'
'y,-x,z'
'-x,y,z'
'y,x,z'
'x,-y,z'
'-y,-x,z'
loop_
_atom_site_label
_atom_site_fract_x
_atom_site_fract_y
_atom_site_fract_z
_atom_site_occupancy
Be1 0.0000 0.0000 0.0000 1
Ru1 0.5000 0.5000 0.8491 1
Cl1 0.0000 0.0000 0.6139 1
Cl2 0.5000 0.5000 0.1872 1
```

Output
formation energy without anion corrections	-0.05	eV per atom
ρ	4.82	g cm⁻³


A plane-wave DFT calculation with SCAN was carried out for Na3AsI at its PBEsol-relaxed geometry.

```
data_Na3AsI
_chemical_formula_sum 'Na3 As1 I1'
_space_group_name_H-M_alt 'P m -3 m'
_space_group_IT_number 221
_space_group_name_Hall '-P 4 2 3'
_cell_length_a 5.5319
_cell_length_b 5.5319
_cell_length_c 5.5319
_cell_angle_alpha 90.00
_cell_angle_beta 90.00
_cell_angle_gamma 90.00
loop_
_atom_site_label
_atom_site_fract_x
_atom_site_fract_y
_atom_site_fract_z
_atom_site_occupancy
Na1 0.0000 0.0000 0.5000 1
As1 0.0000 0.0000 0.0000 1
I1 0.5000 0.5000 0.5000 1
```

Output
formation energy without anion corrections	-0.56	eV per atom
ρ	2.66	g cm⁻³


A plane-wave DFT calculation with SCAN was carried out for LaSi at its PBEsol-relaxed geometry.

```
data_LaSi
_chemical_formula_sum 'La4 Si4'
_space_group_name_H-M_alt 'P 63/m m c'
_space_group_IT_number 194
└──


Have John Call You